It was what she agreed to. At the time, she hadn’t cared. But now, with Elin’s silent judgment hanging in the air, Tess couldn’t help but wonder if she had made a terrible mistake. Her stomach tightened as shame started to rise in her chest. She’d given her virginity to someone who wasn’t her mate. Someone who had no intention of taking her as his mate.

Her mother’s voice came to her mind, calling her all sorts of nasty names. The times she’d heard her parents talking about the ‘fallen women’ of the pack—the insults they threw at Echo for having a baby without a mate—echoed in her mind. She-wolves weren’t meant to do this. They were meant to save themselves for their mates.

No man wanted a used woman. Like she was a piece of chewing gum that Ryder had sucked the flavor out and spat out.

No,she told herself firmly.No, I’m not listening to them. I’m a person. I’m not worth less just because I’m not a virgin anymore.

She didn’t want to regret her time with Ryder. It had been a wonderful experience, and she wanted to cling to it. No man wanted her anyway. Why should she deny herself because of some hypothetical man she might never meet? Why should she deny herself pleasure just because her abusive parents would call her a slut?

Tears came unbidden to her eyes. More than anything, she wished Mica was here to talk to.

No. Actually, that wasn’t true. What she wished for more than anything was for Ryder to be here, and they were still alone with nothing but desire between them. She closed her eyes, listening to the catcalls that the demons had picked up again.

Ryder, where are you?

Chapter 12 - Ryder

Ryder paused as the heavy scent of brimstone ended. He circled the area, growling. Had the demons doubled back to lay a false trail? Finn sniffed the ground. His reddish-brown fur, a more muted shade than his copper hair, glistened in the pale green light of the forest. Blayke fanned out over the other side. He was an impressive wolf, Blayke, with silver-tinged fur that was otherwise pure black. He was bigger than the rest of the special ops in wolf form except Hayden. The two snuffled around as they searched for the trail. For as close as the demons had been lingering, they were awfully good at evading them.

Finn let out a soft bark, indicating that he’d picked up the scent again. Ryder trotted over, and the three of them started out again. What made it worse was Ryder’s wolf kept wanting him to turn around. He didn’t want to be out here, chasing down demons. He wanted to take Tess back to town and explore more of her fantasies.

The memory of how she looked at him while he was inside of her made his heart race. Nobody had ever looked at him like that. The sounds of her pleasure, the way she had come for him over and over again… it was better than anything he could have imagined. His gaze unfocused as he imagined the light smattering of hair that trailed down to her sex. He wanted to trace that line with his tongue. Wanted to kiss along the stretch marks on her stomach and sides of her breasts.

Goddess, but he wanted to get to know her in ways he’d never known a woman before.

Finn bumped him with his shoulder. He jerked his head back the way they’d come and snorted. On his other side, Blayke wagged his tail and licked the air.

In answer, Ryder growled and continued on. He couldn’t allow himself to be distracted. As much as he wished they could have had more time together, they’d never have the chance again if he didn’t take out these demons.

After some time, the scent of rotted meat reached his nose. The three slowed, and Ryder sent Finn to the left and Blayke to the left. They slunk through the thick forest, ready for anything. Soon, the scent of brimstone mingled with the rot. It led him to a deep thicket of bramble.

A beast-demon nest. It had been some time since they had last encountered the monstrous beasts. A half-dozen eggs lay nestled in the remains of what had once been a bear. Ryder tested the area. The brimstone was strong but didn’t have the tones of the beast demons themselves. Either this was an old nest that the demons were nurturing, or it was their attempts to reintroduce beasts into the forest.

Ryder shifted to human form and picked up the first egg. He slammed it into a rock. It burst open, sparks erupting from the impact. The demon embryo inside had just developed horns. It squirmed in the bloody liquid from its egg until Blayke pounced on it and ripped it in two.

The three of them made short work of the nest. When they were done, Finn wiped the sweat off his forehead and poked around the rotted remains, checking for any hidden eggs.

Someone pasted records of crystals at this point >
-- begin --
For Li2HoTl3, a PBE-relaxed structure gives the simulated XRD peak list in this record (Cu Kα, 1.54184 Å).

Top 10 peaks for 15° ≤ 2θ ≤ 90°, in order of rising 2θ:
2θ = 21.4°, d 4.153, I 18, hkl 1 0 1
2θ = 24.7°, d 3.607, I 77, hkl 0 1 2
2θ = 35.0°, d 2.562, I 100, hkl 1 0 4
2θ = 35.3°, d 2.539, I 99, hkl 1 1 0
2θ = 43.6°, d 2.077, I 18, hkl 2 0 2
2θ = 50.6°, d 1.804, I 37, hkl 0 2 4
2θ = 62.6°, d 1.484, I 16, hkl 0 1 8
2θ = 63.2°, d 1.470, I 40, hkl 2 1 4
2θ = 63.4°, d 1.466, I 19, hkl 3 0 0
2θ = 85.3°, d 1.138, I 18, hkl 1 3 4

Crystal structure
```
data_Li2HoTl3
_chemical_formula_sum 'Li4 Ho2 Tl6'
_cell_length_a 5.0789
_cell_length_b 5.0789
_cell_length_c 12.6092
_cell_angle_alpha 90.00
_cell_angle_beta 90.00
_cell_angle_gamma 120.00
_symmetry_space_group_name_H-M 'P -3 m 1'
_symmetry_Int_Tables_number 164
_symmetry_space_group_name_Hall '-P 3 2"'
loop_
_atom_site_label
_atom_site_type_symbol
_atom_site_fract_x
_atom_site_fract_y
_atom_site_fract_z
_atom_site_occupancy
Li1 Li 0.0000 0.0000 0.0000 1
Li2 Li 0.0000 0.0000 0.5000 1
Li3 Li 0.3333 0.6667 0.1669 1
Ho1 Ho 0.3333 0.6667 0.6671 1
Tl1 Tl 0.0000 0.0000 0.2354 1
Tl2 Tl 0.3333 0.6667 0.4166 1
Tl3 Tl 0.3333 0.6667 0.9259 1
```
-- stop --
End of the records of crystals >

Blayke shifted to human form and wiped eggy fluid off his mouth. “They must have realized we’d come after them. I say we go back to the cabin and get the women back to town.”

Ryder ran a hand through his dark hair. He didn’t like the idea of moving Tess and Elin from the safety of the cabin before the demons were dealt with. Perhaps they should go back to town for the rest of the team and then come back for them?

He dismissed that thought immediately. That would take too long, and knowing Tess, she was probably considering making a break for it already. No. Blayke was right. It was the only course of action. He nodded.

A sharp cry rang out in the forest, making his head whip around. He snarled and started to shift back to wolf form. Finn caught his arm.

“Rabbit,” he said. A frown furrowed his forehead. “You’re jumpy. That’s not like you. Have things… changed between you and Tess?”

Ryder glared at him. “What do you mean?”

“He means it’s obvious you two fucked,” Blayke said, laughing. “And we all know that she begged you to be her mate—”

“Shut up,” Ryder snapped.

Finn pursed his lips. “She asked you to be her mate?”

“Years ago.”

“It was when we were headed off to the military,” Blayke said, ignoring the threatening glance from Ryder. “We were loading up in the van when Tess came running out of the crowd. She’s sobbing, looking like the heroine out of a tragic romance. She begs Ryder to stay and be her mate as though he was going on a suicide mission. He told her no.”